View Full Version : Cancer fears + symptoms

10-11-19, 23:57
Hi! First time poster here. Needing some happy thoughts...

Let me just start by saying, I know that everyone is different and that reassurance can’t really be given because not all of us are in the medical field. However I was hoping to put all my symptoms down in the hopes that maybe someone had a similar experience or some additional insight/opinions. Sorry in advance, this is long winded.

A little background. I’m a 33yr old female, mom of two (3 and 1). Since becoming a mom, my anxiety has gone through the roof and usually presents as health anxieties. After my first child, I was certain I had colon cancer due to symptoms ended up having a sigmoidoscopy. All was fine and biopsies were clear. Doctors said it was anxiety/IBS.

Fast forward two years...

In August, I noticed a faint ache in my lower left abdominal. It was never extremely painful but more just annoying. It never hindered my day to day. I chalked it up to the IBS knowing that anxiety had been worse lately.

In September, the ache was still there and I started to notice this dull gnawing sensation in my upper left abdominal (near my ribs). I noticed when I pushed on it, it would ache and then I’d burp so I assumed trapped gas and then it was gone. I also started to notice some lower back ache, left side under ribs near flank.

In October, all the symptoms had gone on long enough (never becoming severe but just slightly uncomfortable) that I decided to finally make a Dr. appt. I didn’t want to unnecessarily make one prior in the hope that what I thought was the IBS would clear up on its own.

- - -
Computed, not measured: an optimized crystal structure of LuThFe6 at the GGA-PBE level of DFT.

a b c (Å): 5.1019 5.1019 16.7023
angles (deg): 98.79 98.79 60.00
Closest atoms and distances in Å follow each position.
Atoms (fractional coordinates):
Fe: 0.9584 0.9584 0.3743  7 Fe 2.52-2.56
Fe: 0.5417 0.0422 0.1256  7 Fe 2.52-2.55
Fe: 0.2505 0.2505 0.7516  6 Fe 2.53-2.57
Fe: 0.8335 0.8335 0.5006  6 Fe 2.50-2.55
Fe: 0.4589 0.9585 0.8763  7 Fe 2.50-2.55
Fe: 0.5423 0.0408 0.6239  7 Fe 2.50-2.57
Lu: 0.4284 0.4284 0.2853  12 Fe 2.94-3.01, 3 Lu 3.17
Fe: 0.9585 0.4589 0.8763  7 Fe 2.50-2.55
Lu: 0.0715 0.0715 0.2144  12 Fe 2.94-3.01, 3 Lu 3.17
Fe: 0.7500 0.7500 0.2500  6 Fe 2.52
Th: 0.4988 0.4988 0.4964  12 Fe 2.95-3.25
Fe: 0.4575 0.9584 0.3743  7 Fe 2.52-2.56
Fe: 0.3335 0.3335 0.0006  6 Fe 2.52-2.53
Fe: 0.1663 0.1663 0.4989  6 Fe 2.52-2.53
Lu: 0.9296 0.9296 0.7889  12 Fe 2.93-3.09, 3 Th 3.20
Fe: 0.4589 0.4589 0.8763  7 Fe 2.50-2.55
Fe: 0.9584 0.4575 0.3743  7 Fe 2.52-2.56
Th: 0.0002 0.0002 0.0006  18 Fe 2.95-3.28
Fe: 0.5417 0.5417 0.1256  7 Fe 2.52-2.55
Fe: 0.6665 0.6665 0.9995  6 Fe 2.50-2.54
Fe: 0.0422 0.5417 0.1256  7 Fe 2.52-2.55
Fe: 0.0408 0.0408 0.6239  7 Fe 2.50-2.57
Th: 0.5710 0.5710 0.7131  12 Fe 2.94-3.06, 3 Lu 3.20
Fe: 0.0408 0.5423 0.6239  7 Fe 2.50-2.57

Computed properties:
ΔH_f (0 K), meV per atom: -113
Total moment, μB per formula unit: 11.22
Final energy, eV/f.u.: -63.66

=====

## A
KMg14Sn PBE-GGA optimized geometry; space-group type = Amm2, No. 38
1.0
6.5152 -0.0394 0.0000
-3.2917 5.7014 0.0000
0.0000 0.0000 10.6379
K Mg Sn
1 14 1
direct
0.1690 0.8345 0.1250
0.1643 0.3321 0.6250
0.1684 0.8342 0.6250
0.6674 0.3404 0.1250
0.6687 0.3308 0.6250
0.6674 0.8269 0.1250
0.6687 0.8379 0.6250
0.3341 0.1736 0.3871
0.3341 0.1736 0.8629
0.3341 0.6605 0.3871
0.3341 0.6605 0.8629
0.8318 0.1659 0.3712
0.8318 0.1659 0.8788
0.8235 0.6617 0.3896
0.8235 0.6617 0.8604
0.1794 0.3397 0.1250

## B
KMg14Sn PBE-GGA optimized geometry; space-group type = P-6m2, No. 187
1.0
-3.7779 -1.1361 -5.1418
6.2824 -1.5810 -0.1823
-2.3655 -9.8510 3.9147
K Mg Sn
1 14 1
direct
0.1667 0.3333 0.6250
0.1636 0.8318 0.1250
0.1732 0.8366 0.6250
0.6682 0.3364 0.1250
0.6634 0.3268 0.6250
0.6682 0.8318 0.1250
0.6634 0.8366 0.6250
0.3368 0.1632 0.3671
0.3368 0.1632 0.8829
0.3368 0.6735 0.3671
0.3368 0.6735 0.8829
0.8265 0.1632 0.3671
0.8265 0.1632 0.8829
0.8333 0.6667 0.3815
0.8333 0.6667 0.8685
0.1667 0.3333 0.1250

What should be chosen as the least stable of them? Choose B.

## A
KSrMg6 PBE-GGA optimized geometry; space-group type = Amm2, No. 38
1.0
3.8056 -5.8646 0.0000
3.8056 5.8646 0.0000
0.0000 0.0000 5.5401
K Sr Mg
1 1 6
direct
0.8362 0.1638 0.5000
0.3403 0.6597 0.5000
0.3292 0.1613 0.5000
0.8387 0.6708 0.5000
0.1790 0.3227 0.0000
0.6773 0.8210 0.0000
0.6480 0.3520 0.0000
0.1513 0.8487 0.0000

## B
# KSrMg6

Crystalline KSrMg6 at its relaxed geometry (PBE-GGA, Materials Project).

```
KSrMg6
1.0
-1.5454 4.3447 3.1173
-6.5537 -2.5543 0.3110
2.9327 -6.2816 10.2086
K Sr Mg
2 2 12
- - -
(The entry goes on)

The doctor suspected IBS or maybe a small ulcer but ordered blood work to check organ functions. She also encouraged to start using Prozac for the anxiety which I had been putting off for as long as I could.

Bloodwork came back mostly normal except for my lipase coming in just above the upper limit. My doctor asked to retest and yet again both can in slightly elevated. (Lipase upper limit was 51, test 1- was 54, test 2 - was 82).

This is when my anxiety really started to kick in. All the sudden I’m so anxious that I have pancreatic cancer. She’s ordered a CT scan which happens this Wednesday and then an upper endoscopy. She has reiterated that she’s not worried.

However since the initial appt, I began Prozac and feel like it’s exacerbated my symptoms. I now have the abdominal and back ache, some indigestion, sometimes yellow stools, etc. I can’t decipher what are side effects from
the meds vs what are actual pain symptoms. Im still waiting for the positive side effects from the Prozac and hopefully will feel some soon.

Has anyone ever experienced a similar situation?

## Inserted here: crystal structures
/*
Entry 1:
VASP calculation (GGA-PBE) on a relaxed structure of Ce3UO8.

Spin magnetization ... 0.031 μB/atom
Energy of formation ... -3.938 eV/atom
E_tot ... -110.43 eV per cell

CIF file:
```
data_Ce3UO8
_chemical_formula_sum 'Ce3 U1 O8'
_symmetry_space_group_name_H-M 'P 1'
_symmetry_Int_Tables_number 1
_symmetry_space_group_name_Hall 'P 1'
_cell_length_a 12.7418
_cell_length_b 12.7418
_cell_length_c 12.7418
_cell_angle_alpha 17.51
_cell_angle_beta 17.51
_cell_angle_gamma 17.51
loop_
_atom_site_label
_atom_site_fract_x
_atom_site_fract_y
_atom_site_fract_z
Ce1 0.0000 0.0000 0.0000
Ce2 0.2500 0.2500 0.2500
Ce3 0.7500 0.7500 0.7500
U1 0.5000 0.5000 0.5000
O1 0.0648 0.0648 0.0648
O2 0.1841 0.1841 0.1841
O3 0.3116 0.3116 0.3116
O4 0.4429 0.4429 0.4429
O5 0.5571 0.5571 0.5571
O6 0.6884 0.6884 0.6884
O7 0.8159 0.8159 0.8159
O8 0.9352 0.9352 0.9352
```


Entry 2:
VASP calculation (GGA-PBE) on a relaxed structure of Ba5P3O12F.

Spin magnetization ... 0.000 μB/atom
Energy of formation ... -3.385 eV/atom
E_tot ... -299.00 eV per cell

CIF file:
```
data_Ba5P3O12F
_chemical_formula_sum 'Ba10 P6 O24 F2'
_symmetry_space_group_name_H-M 'P 1'
_symmetry_Int_Tables_number 1
_symmetry_space_group_name_Hall 'P 1'
_cell_length_a 10.3653
_cell_length_b 10.3653
_cell_length_c 7.7926
_cell_angle_alpha 90.00
_cell_angle_beta 90.00
_cell_angle_gamma 120.00
loop_
_atom_site_label
_atom_site_fract_x
_atom_site_fract_y
_atom_site_fract_z
Ba1 0.0127 0.2552 0.2500
Ba2 0.2425 0.9873 0.2500
Ba3 0.2552 0.2425 0.7500
Ba4 0.3333 0.6667 0.5007
Ba5 0.3333 0.6667 0.9993
Ba6 0.6667 0.3333 0.0007
Ba7 0.6667 0.3333 0.4993
Ba8 0.7448 0.7575 0.2500
Ba9 0.7575 0.0127 0.7500
Ba10 0.9873 0.7448 0.7500
P1 0.0307 0.3988 0.7500
P2 0.3681 0.9693 0.7500
P3 0.3988 0.3681 0.2500
P4 0.6012 0.6319 0.7500
P5 0.6319 0.0307 0.2500
P6 0.9693 0.6012 0.2500
O1 0.0797 0.3463 0.5872
O2 0.0797 0.3463 0.9128
O3 0.1138 0.5728 0.7500
O4 0.1415 0.6665 0.2500
O5 0.2666 0.9203 0.5872
O6 0.2666 0.9203 0.9128
O7 0.3335 0.4750 0.2500
O8 0.3463 0.2666 0.0872
O9 0.3463 0.2666 0.4128
O10 0.4272 0.5409 0.7500
O11 0.4591 0.8862 0.7500
O12 0.4750 0.1415 0.7500
O13 0.5250 0.8585 0.2500
O14 0.5409 0.1138 0.2500
O15 0.5728 0.4591 0.2500
O16 0.6537 0.7334 0.5872
O17 0.6537 0.7334 0.9128
O18 0.6665 0.5250 0.7500
O19 0.7334 0.0797 0.0872
O20 0.7334 0.0797 0.4128
O21 0.8585 0.3335 0.7500
O22 0.8862 0.4272 0.2500
O23 0.9203 0.6537 0.0872
O24 0.9203 0.6537 0.4128
F1 0.0000 0.0000 0.2500
F2 0.0000 0.0000 0.7500
```


Entry 3:
VASP calculation (GGA-PBE) on a relaxed structure of PuPb3.

Spin magnetization ... 1.472 μB/atom
Energy of formation ... -0.170 eV/atom
E_tot ... -26.09 eV per cell

CIF file:
```
data_PuPb3
_chemical_formula_sum 'Pu1 Pb3'
_symmetry_space_group_name_H-M 'P 1'
_symmetry_Int_Tables_number 1
_symmetry_space_group_name_Hall 'P 1'
_cell_length_a 4.8121
_cell_length_b 4.8121
_cell_length_c 4.8121
_cell_angle_alpha 90.00
_cell_angle_beta 90.00
_cell_angle_gamma 90.00
loop_
_atom_site_label
_atom_site_fract_x
*/

Thanks in advance!

11-11-19, 00:03
I forgot to mention that I do not smoke, occasionally have a drink (a couple times a month, maybe), but am considered “overweight” for my height.

11-11-19, 02:22
Hi , I'm older but also have (or had an elevated lipase 71) our levels in NZ are (16-67) and also a slighty elevated ALT liver level and B12. My Dr ordered an ultrasound scan and all the organs were fine.

I do have some autoimmune issues, which are likely responsible for this. I had stomach issues and IBS but since eating gluten free, my stomach and bowel issues have been much better and my bowel motions are darker.

I've read that being Celiac can cause raised levels of lipase and ALT liver levels so this would be worth looking into.

When I get stomach trouble my bowel motions can be lighter (tan/yellow and even float) due to the speed they travel through my system ie it makes me go a lot.

Your Lipase levels are only slightly raised so it's very unlikely you have anything serious going on. It's possible you may have a grumbling pancreatitis but this is a benign condition. Gall bladder issues can also cause raised lipase levels.

Let us know how your scan goes.

11-11-19, 13:49
Thank you so much WiseMonkey! I actually read your post about your Lipase levels/scan and it provided some comfort. I’m thankful that everything turned out to be just fine for you. I’m hoping for the same out come.

Gallbladder & gallstones have been a idea that’s been tossed around, and I’d happily have my gallbladder out if it fixes the issue. I’m hoping it’s all referred pain on the left side and it could be the root cause of the ache. Fingers crossed! I’ll keep you posted.

16-11-19, 22:48
Thank you so much WiseMonkey! I actually read your post about your Lipase levels/scan and it provided some comfort. I’m thankful that everything turned out to be just fine for you. I’m hoping for the same out come.

Gallbladder & gallstones have been a idea that’s been tossed around, and I’d happily have my gallbladder out if it fixes the issue. I’m hoping it’s all referred pain on the left side and it could be the root cause of the ache. Fingers crossed! I’ll keep you posted.

Let us know when you have had your CT scan. My repeat Lipase has risen a bit from 71 to 76. My Dr suggested that I could have a referral to see a gastro (considering my autoimmune issues), so that's what I'll do.